### Source
- - -
(1)
Entry from Alexandria: crystalline AcYTlAg at its relaxed geometry (PBE).

Results
Energy above the lowest structure with this stoichiometry = 0 meV/atom
Total magnetic moment = 0.0 μB/f.u.
ΔH_f (0 K) = -0.32 eV/atom

Lattice parameters (Å, degrees): 3.806 3.806 8.089 90.00 90.00 90.00
Positions (direct):
1 Ac 0.500 0.500 0.117
2 Ag 0.000 0.000 0.393
3 Tl 0.000 0.000 0.828
4 Y 0.500 0.500 0.589

(2)
Entry from Alexandria: crystalline NaAcGa2 at its relaxed geometry (PBE).

Results
Total magnetic moment = 0.0 μB/f.u.
ΔH_f (0 K) = -0.21 eV/atom

Lattice parameters (Å, degrees): 3.909 5.356 5.356 90.00 90.00 90.00
Positions (direct):
1 Ga 0.000 0.500 0.000
2 Ga 0.000 0.000 0.500
3 Ac 0.500 0.500 0.500
4 Na 0.500 0.000 0.000

(3)
Entry from Alexandria: crystalline HfSeF at its relaxed geometry (PBE).

Results
Total magnetic moment = 0.0 μB/f.u.

Lattice parameters (Å, degrees): 6.714 5.983 7.781 121.10 90.00 90.00
Positions (direct):
1 Se 0.393 0.411 0.715
2 Se 0.107 0.911 0.715
3 Se 0.607 0.589 0.285
4 Se 0.893 0.089 0.285
5 Hf 0.129 0.775 0.983
6 Hf 0.871 0.225 0.017
7 Hf 0.371 0.275 0.983
8 Hf 0.629 0.725 0.017
9 F 0.884 0.492 0.866
10 F 0.616 0.992 0.866
11 F 0.116 0.508 0.134
12 F 0.384 0.008 0.134

(4)
Entry from Alexandria: crystalline Be2AlCuNi at its relaxed geometry (PBE).

Results
Total magnetic moment = 0.0 μB/f.u.
ΔH_f (0 K) = -0.23 eV/atom

Lattice parameters (Å, degrees): 3.639 4.555 7.218 90.00 90.00 113.54
Positions (direct):
1 Ni 0.188 0.375 0.250
2 Ni 0.812 0.625 0.750
3 Al 0.468 0.936 0.250
4 Al 0.532 0.064 0.750
5 Be 0.288 0.576 0.938
6 Be 0.288 0.576 0.562
7 Be 0.712 0.424 0.438
8 Be 0.712 0.424 0.062
9 Cu 0.000 0.000 0.000
10 Cu 0.000 0.000 0.500

(5)
Entry from Alexandria: crystalline MgMo2Ru at its relaxed geometry (PBE).

Results
Total magnetic moment = 0.0 μB/f.u.
ΔH_f (0 K) = 0.21 eV/atom

Lattice parameters (Å, degrees): 3.116 4.326 4.605 90.00 90.00 90.00
Positions (direct):
1 Ru 0.500 0.000 0.500
2 Mo 0.000 0.000 0.000
3 Mo 0.500 0.500 0.000
4 Mg 0.000 0.500 0.500

(6)
Entry from Alexandria: crystalline CaTi2CdNi at its relaxed geometry (PBE).

Results
Total magnetic moment = 2.6 μB/f.u.
ΔH_f (0 K) = 0.25 eV/atom

Lattice parameters (Å, degrees): 4.682 5.041 4.682 90.00 90.00 90.00
Last column: magnetic moment on the atom in μB.
Positions (direct):
1 Ti 0.500 0.000 0.000  1.03
2 Ti 0.000 0.000 0.500  0.74
3 Ca 0.500 0.500 0.500  0.06
4 Ni 0.000 0.000 0.000  0.09
5 Cd 0.000 0.500 0.000  0.00

(7)
Entry from Alexandria: crystalline ZrTaAl at its relaxed geometry (PBE).

Results
Energy above the lowest structure with this stoichiometry = 109 meV/atom
Total magnetic moment = 0.0 μB/f.u.
ΔH_f (0 K) = -0.16 eV/atom

Lattice parameters (Å, degrees): 5.325 5.325 5.325 145.83 137.23 55.85
Positions (direct):
1 Zr 0.666 0.666 0.000
2 Ta 0.342 0.342 0.000
3 Al 0.991 0.991 0.000

(8)
Entry from Alexandria: crystalline CdCoCl2 at its relaxed geometry (PBE).

Results
Energy above the lowest structure with this stoichiometry = 119 meV/atom
Total magnetic moment = 0.3 μB/f.u.

Lattice parameters (Å, degrees): 6.670 6.670 6.670 152.91 136.34 52.14
Last column: magnetic moment on the atom in μB.
Positions (direct):
1 Co 0.750 0.250 0.500  0.31
2 Cd 0.250 0.750 0.500  0.00
3 Cl 0.612 0.612 0.000  0.01
4 Cl 0.888 0.888 0.000  0.01

(9)
Entry from Alexandria: crystalline DyY2Tc at its relaxed geometry (PBE).

Results
Energy above the lowest structure with this stoichiometry = 0 meV/atom
Total magnetic moment = 0.0 μB/f.u.
ΔH_f (0 K) = -0.09 eV/atom

Lattice parameters (Å, degrees): 6.295 7.425 9.215 90.00 90.00 90.00
Positions (direct):
1 Y 0.339 0.177 0.064
2 Y 0.661 0.823 0.936
3 Y 0.161 0.677 0.064
4 Y 0.661 0.823 0.564
5 Y 0.161 0.677 0.436
6 Y 0.339 0.177 0.436
7 Y 0.839 0.323 0.936
8 Y 0.839 0.323 0.564
9 Dy 0.870 0.044 0.250
10 Dy 0.370 0.456 0.750
11 Dy 0.630 0.544 0.250
12 Dy 0.130 0.956 0.750
13 Tc 0.965 0.615 0.750
14 Tc 0.465 0.885 0.250
15 Tc 0.535 0.115 0.750
16 Tc 0.035 0.385 0.250

(10)
- - -

### Wanted
Your job: count the lines further up that contain the word "Total" and give the number alone.

### Here it is
9